3 Tips on How to Have a Good Conversation
No. 1
8
Properties=species:S:1:pos:R:3:nbo_charge:R:1 method="wB97M-V/def2-TZVPD" lumo_ev="-12.67 / -12.98" e_tot_ev=-15843.37930 fmax_ha_per_bohr=0.1419 charge=+2 relative_energy_ev=0.000 molar_mass_da=112.0 homo_energy_ev="-20.9 / -19.8"
H -1.43 0.13 1.98 0.31
O -2.73 -0.38 -0.74 -0.11
C -1.84 -0.28 0.02 0.71
C -0.97 -0.05 1.00 0.11
O 0.36 0.06 0.91 -0.83
C 2.16 -0.19 -0.67 0.41
O 2.94 -1.00 -0.78 -0.19
Al 1.02 1.33 0.05 1.58

***

No. 2
96
Properties=species:S:1:pos:R:3:mulliken_spin:R:1 method="wB97M-V/def2-TZVPD" multiplicity=5 lumo_ev="-8.05 / -12.28" e_tot_ev=-139369.21693 fmax_ha_per_bohr=0.0465 charge=+3 relative_energy_ev=0.875 molar_mass_da=941.8 homo_energy_ev="-15.0 / -15.0"
Ir 0.31 0.84 0.04 1.61
C 1.88 -1.47 2.37 0.03
C 1.86 -1.81 0.93 0.00
C 2.42 -2.94 0.33 0.00
C 2.10 -2.84 -1.01 0.01
N 1.39 -1.72 -1.20 0.03
N 1.26 -1.08 -0.02 -0.02
B 0.72 -1.21 -2.49 0.04
N 1.36 0.11 -2.93 -0.07
C 1.60 0.61 -4.16 0.02
C 2.10 1.88 -4.02 0.01
C 2.12 2.13 -2.64 0.01
C 2.56 3.35 -1.94 0.00
N 1.68 1.04 -2.00 0.24
N -0.76 -0.90 -2.18 -0.01
C -1.85 -1.25 -2.88 0.04
C -2.95 -0.69 -2.28 0.00
C -2.46 0.03 -1.19 -0.02
C -3.25 0.85 -0.24 0.04
N -1.13 -0.11 -1.14 0.09
N 0.87 -2.28 -3.56 0.00
C 1.98 -2.52 -4.35 0.00
C 1.78 -3.69 -5.00 0.00
C 0.48 -4.13 -4.59 0.00
C -0.25 -5.34 -4.96 0.00
N -0.02 -3.24 -3.72 0.00
H 2.68 -2.00 2.88 0.00
H 0.94 -1.77 2.82 -0.01
H 1.99 -0.40 2.53 0.00
H 2.98 -3.72 0.80 0.00
H 2.35 -3.51 -1.81 0.00
H 1.41 0.05 -5.05 0.00
H 2.41 2.56 -4.79 0.00
H 3.64 3.47 -2.03 0.00
H 2.29 3.31 -0.89 -0.01
H 2.10 4.23 -2.40 0.00
H -1.78 -1.87 -3.75 0.00
H -3.97 -0.78 -2.60 0.00
H -4.01 0.23 0.25 0.01
H -3.78 1.63 -0.78 0.01
H -2.61 1.30 0.51 -0.02
H 2.82 -1.85 -4.36 0.00
H 2.42 -4.19 -5.70 0.00
H -0.10 -5.60 -6.01 0.00
H -1.31 -5.24 -4.73 0.00
H 0.13 -6.20 -4.40 0.00
Br -0.39 2.20 2.69 0.09
C -0.84 3.77 1.73 0.13
C -1.13 4.89 2.49 -0.01
C -1.60 6.05 1.88 0.06
C -1.80 6.05 0.52 0.18
C -1.50 4.92 -0.27 -0.02
C -1.75 4.96 -1.66 0.17
C -1.44 3.88 -2.45 0.07
C -0.87 2.75 -1.88 -0.04
C -0.60 2.63 -0.52 0.20
C -0.96 3.73 0.32 0.05
H -1.01 4.86 3.56 0.00
H -1.81 6.92 2.47 0.00
H -2.19 6.93 0.03 0.00
H -2.20 5.85 -2.08 -0.01
H -1.63 3.91 -3.51 0.00
H -0.67 1.94 -2.56 -0.02
C 5.38 1.05 2.34 0.00
N 3.99 1.45 2.21 0.00
C 3.24 1.30 1.12 0.00
N 3.79 0.73 0.04 0.01
O 2.03 1.67 1.13 -0.01
H 5.72 1.27 3.34 0.00
H 6.01 1.60 1.64 0.00
H 5.49 -0.02 2.16 0.00
H 3.55 1.90 3.01 0.00
H 4.76 0.48 0.00 0.00
H 3.24 0.71 -0.81 0.02
C -4.30 -0.46 4.91 0.01
C -2.86 0.03 4.97 0.00
C -1.87 -0.83 4.22 0.07
S -2.27 -0.87 2.39 0.30
O -0.97 -0.71 1.70 0.60
C -2.73 -2.65 2.11 0.06
C -1.55 -3.58 1.96 0.01
C -0.90 -4.02 3.26 0.00
H -4.94 0.19 5.50 0.00
H -4.38 -1.47 5.33 0.00
H -4.68 -0.48 3.89 0.00
H -2.56 0.05 6.02 0.00
H -2.80 1.06 4.61 0.00
H -1.91 -1.86 4.57 0.02
H -0.86 -0.43 4.30 0.01
H -3.32 -2.64 1.19 0.00
H -3.39 -2.91 2.94 0.00
H -0.81 -3.11 1.30 0.00
H -1.92 -4.47 1.44 0.01
H -0.36 -3.22 3.75 0.00
H -0.19 -4.82 3.06 0.00
H -1.65 -4.42 3.95 0.00

***

No. 3
10
_End of the records of molecules_
Conversation, like any human endeavor, can be done well or poorly. Here are some ways to converse well.
Sep 24, 2022
Some of us are communicating all day long. Texts, tweets, other social media postings, and emails are all forms of communication, after all. But are they forms of conversation? If done well, they can come close.
But nothing beats a face-to-face conversation. In person.
So, what exactly makes for a good conversation? You know when you've had fun, felt heard and appreciated, and enjoyed your partner's observations and demeanor. And you also know when a conversation didn't leave you feeling rewarded.
How can we have more conversations that feel great?

We all have habits that work for us some of the time — but not all the time, or as well as we'd like. Your habit may be to stay quiet; you may be a great listener but not generous with self-revelation.
Here are some tips on how to have better conversations, one-on-one, gleaned from psychology research and my own experience as a passionate student of good conversation.
Be Interested
Some conversations feel like dueling monologues: Each side takes the floor, with not much interaction in between. If you're the kind of person who can talk all day and all you remember is what you said, you're missing the chance to learn from the human being in front of you.
This sometimes happens when you've been alone too much. Slow down. Breathe. Make eye contact.
The general rule is to alternate statements of fact, opinions, or anecdotes that focus on you, with questions or responses that put the focus on your partner.
Be real. Ask questions that genuinely interest you. Some people worry that questions are rude: Trust that your partner will appreciate your interest and can find a way to answer your question that isn't uncomfortable. In the process you'll find an overlapping area that might expand on its own.

A simple way is to appeal to people's expertise. Example: You've met a real estate agent at a party. You're bored silly with conversations about real estate, but you are interested in intuition. You might ask "Can you usually tell which apartment your client will buy?" and follow up with "Any big surprises?"
It may sound counterintuitive, but the less you have in common with someone, the more personal you can be. That's because the big human questions apply to everyone.
Alternate Open-Ended Statements and Specific Questions
A good conversation, like a good piece of writing, has what editors call "resonance." That means it changes pitch from the airy and abstract to the granular and specific. The contrast is interesting, engaging, and refreshing.
A general question can get the ball rolling. Asking "How are you?" is polite, but if the answer is a simple "fine," that's your cue to add some details. "This day got off to a terrific start for me because..."
When it's time for you to ask another question, make it specific. Later you can ask an open-ended question, which gives the other person a chance to choose a topic to talk about.
Match Mood and Energy
When you're walking, it's good manners to match your partner's pace. You wouldn't rush alongside a senior who uses a walker or cane. In the same way, match your partner's social energy.
┌──
Below is a 6-piece molecular cluster, C27H39NO15S2 overall, with properties calculated with ωB97M-V/def2-TZVPD.

Computed properties:
Gap between HOMO and LUMO, eV: 8.6
Highest occupied orbital energy, eV: -8.1
Structure (SMILES): SN1c2ccccc2Sc2ccccc21.COC(=O)OC.COC(=O)OC.COC(=O)OC.COC(=O)OC.COC(=O)OC

Last column: Mulliken charge in e.
Positions of all 84 atoms, in Å:
S: 1.362 -2.274 2.208  -0.158
N: 1.222 -1.264 0.772  0.102
C: 2.056 -0.101 0.806  -0.685
C: 3.243 -0.091 0.079  -0.423
C: 4.048 1.032 0.114  -0.659
C: 3.690 2.163 0.837  -0.814
C: 2.492 2.167 1.543  -0.568
C: 1.690 1.036 1.530  1.070
S: 0.152 0.997 2.417  -0.184
C: -0.807 0.068 1.256  1.140
C: -2.155 0.332 1.051  -0.744
C: -2.842 -0.438 0.118  -0.752
C: -2.193 -1.420 -0.620  -0.756
C: -0.845 -1.680 -0.416  -0.344
C: -0.159 -0.943 0.543  -0.286
H: 2.402 -1.725 2.856  0.113
H: 3.484 -0.976 -0.488  0.466
H: 4.969 1.062 -0.448  0.490
H: 4.310 3.042 0.840  0.479
H: 2.163 3.032 2.096  0.437
H: -2.648 1.109 1.614  0.576
H: -3.894 -0.262 -0.041  0.426
H: -2.733 -2.003 -1.350  0.476
H: -0.319 -2.453 -0.951  0.559
C: -2.807 -7.784 1.118  -0.540
O: -1.542 -7.818 1.781  -0.338
C: -0.705 -6.847 1.414  0.837
O: -0.936 -5.991 0.600  -0.550
O: 0.419 -6.979 2.114  -0.351
C: 1.404 -5.982 1.825  -0.296
H: -3.378 -8.621 1.509  0.213
H: -3.330 -6.854 1.334  0.225
H: -2.680 -7.899 0.043  0.285
H: 1.022 -4.990 2.046  0.000
H: 1.715 -6.038 0.783  0.282
H: 2.257 -6.189 2.465  0.249
C: -7.743 -2.374 4.715  -0.636
O: -6.492 -1.819 4.310  -0.320
C: -5.717 -2.662 3.625  0.754
O: -5.993 -3.798 3.342  -0.551
O: -4.590 -2.028 3.311  -0.222
C: -3.659 -2.819 2.569  -0.434
H: -8.264 -1.589 5.255  0.216
H: -8.331 -2.672 3.849  0.294
H: -7.591 -3.228 5.372  0.293
H: -4.090 -3.130 1.619  0.288
H: -3.350 -3.690 3.144  0.361
H: -2.795 -2.188 2.379  -0.035
C: -4.887 6.278 2.425  -0.626
O: -3.507 6.523 2.702  -0.335
C: -2.815 5.432 3.031  0.802
O: -3.254 4.315 3.103  -0.546
O: -1.554 5.794 3.260  -0.348
C: -0.698 4.712 3.633  -0.486
H: -5.323 7.241 2.175  0.214
H: -4.995 5.600 1.581  0.295
H: -5.388 5.867 3.299  0.294
H: -0.659 3.962 2.845  0.159
H: -1.035 4.257 4.562  0.313
H: 0.292 5.136 3.777  0.277
C: 8.090 5.133 -2.844  -0.617
O: 6.919 4.943 -3.641  -0.335
C: 6.035 4.095 -3.120  0.809
O: 6.148 3.507 -2.076  -0.541
O: 4.998 4.005 -3.949  -0.299
C: 3.957 3.138 -3.484  -0.603
H: 8.714 5.840 -3.383  0.219
H: 7.829 5.546 -1.871  0.291
H: 8.626 4.195 -2.718  0.289
H: 3.549 3.500 -2.542  0.317
H: 4.328 2.122 -3.365  0.286
H: 3.178 3.148 -4.241  0.182
C: 0.164 -1.511 -5.318  -0.582
O: 0.851 -0.257 -5.299  -0.283
C: 1.658 -0.059 -6.340  0.748
O: 1.841 -0.822 -7.250  -0.538
O: 2.232 1.136 -6.194  -0.253
C: 3.138 1.487 -7.243  -0.705
H: -0.448 -1.535 -4.421  0.138
H: -0.472 -1.587 -6.197  0.304
H: 0.873 -2.337 -5.298  0.311
H: 2.619 1.534 -8.198  0.334
H: 3.957 0.773 -7.297  0.339
H: 3.528 2.470 -6.993  0.195

---

Below is C27H39O5Zr as an isolated structure, with properties calculated with ωB97M-V/def2-TZVPD.
└──
_The data records stop here_
We usually know when other people are tired, anxious, distracted, or shy, even if they are trying. Don't overwhelm them with your ebullience. Tone it down. Give them room. Allow silence.

Perhaps your conversation partner is much more socially confident than you are and is happily chattering away. It's easy to become resentful. But you can also let other people's social energy rev you up — there's some evidence that quiet, reserved people feel better when they act more like extroverts. Insert yourself when you can and tell a story of your own.
It may feel awkward, but good conversationalists will help you. They'll catch that you're matching them, appreciate the effort, and start asking questions. You've joined the party — if they need to take up all the space, that's their failure, not yours. But if you don't try, it's partly your choice as well.
Don't be afraid to acknowledge emotion, a key form of matching. If you've heard a sad story, it's good conversation manners to say, "I'm sorry that happened to you" or "That's rough." If someone is sharing good news, you celebrate, too. It's almost never a bad idea to say "Go, girl!"
Be Complimentary
Everyone likes a sincere compliment. You might worry that you'll sound phony, as if you're "buttering them up." It's far more likely they'll be pleased. If your observations are precise and accurate, they'll be remembered forever.
Above all, take it as an article of faith that everyone craves a real conversation. As Maya Angelou famously said, "I've learned that people will forget what you said, people will forget what you did, but people will never forget how you made them feel."